Guesswork masquerades as expertise in stock market forecasts

Expert predictions tend to be no more accurate than chance, research indicates

“Even if you had a crystal ball and knew exactly how the global economy would perform in 2018, you still could not be sure how this would impact on stock markets.”

For what it’s worth, Wall Street strategists predict the S&P 500 will advance at a more modest pace this year, rising about 7 per cent in 2018 compared with 20 per cent in 2017.

However, it’s “probably not a good idea” to take such forecasts too literally, says Urban Carmel of the Fat Pitch blog, who notes strategists’ year-end target for 2017 was hit in February.

It was a similar picture in 2016; Goldman Sachs abandoned five of its top six trade ideas for the year within a month of releasing them. At the beginning of 2015, Barron’s was reporting that the consensus forecast for the year was “uniformly upbeat”, with strategists eyeing double-digit gains; instead, stocks endured a flat year.

(Attached: crystal structures)
1.
VASP calculation (r²SCAN) on a relaxed structure of SrCrO4.

The structure in POSCAR format:
```
SrCrO4
1.0
6.753 0.000 0.000
0.000 7.398 0.000
-5.142 0.000 6.894
Sr Cr O
4 4 16
Direct
0.170 0.157 0.272
0.170 0.343 0.772
0.830 0.657 0.228
0.830 0.843 0.728
0.312 0.664 0.197
0.312 0.836 0.697
0.688 0.164 0.303
0.688 0.336 0.803
0.121 0.662 0.620
0.121 0.838 0.120
0.198 0.503 0.255
0.198 0.997 0.755
0.332 0.602 0.024
0.332 0.898 0.524
0.405 0.218 0.119
0.405 0.282 0.619
0.595 0.718 0.381
0.595 0.782 0.881
0.668 0.102 0.476
0.668 0.398 0.976
0.802 0.003 0.245
0.802 0.497 0.745
0.879 0.162 0.880
0.879 0.338 0.380
```

Its formation energy is -2532 meV per atom. Its crystal system is monoclinic. The calculation puts the total magnetization at 0.00 Bohr magnetons per cell. Its space-group type is No. 14.

***

2.
VASP calculation (r²SCAN) on a relaxed structure of CaGa2Se4.

The structure in POSCAR format:
```
CaGa2Se4
1.0
0.000 10.557 10.617
6.368 0.000 10.617
6.368 10.557 0.000
Ca Ga Se
8 16 32
Direct
0.123 0.123 0.627
0.125 0.125 0.125
0.373 0.373 0.877
0.375 0.375 0.375
0.625 0.625 0.625
0.627 0.627 0.123
0.875 0.875 0.875
0.877 0.877 0.373
0.030 0.470 0.861
0.112 0.386 0.366
0.139 0.861 0.470
0.139 0.861 0.970
0.365 0.634 0.614
0.366 0.635 0.112
0.386 0.112 0.635
0.470 0.030 0.139
0.530 0.970 0.861
0.614 0.888 0.365
0.634 0.365 0.888
0.635 0.366 0.386
0.861 0.139 0.030
0.861 0.139 0.530
0.888 0.614 0.634
0.970 0.530 0.139
0.086 0.088 0.415
0.088 0.086 0.911
0.088 0.585 0.412
0.089 0.585 0.912
0.153 0.844 0.661
0.156 0.847 0.158
0.158 0.339 0.156
0.181 0.316 0.652
0.316 0.181 0.350
0.339 0.158 0.847
0.348 0.650 0.819
0.350 0.652 0.316
0.412 0.416 0.088
0.415 0.911 0.086
0.415 0.912 0.584
0.416 0.412 0.585
0.584 0.588 0.415
0.585 0.088 0.416
0.585 0.089 0.914
0.588 0.584 0.912
0.650 0.348 0.684
0.652 0.350 0.181
0.661 0.842 0.153
0.684 0.819 0.650
0.819 0.684 0.348
0.842 0.661 0.844
0.844 0.153 0.842
0.847 0.156 0.339
0.911 0.415 0.088
0.912 0.415 0.588
0.912 0.914 0.089
0.914 0.912 0.585
```

Its formation energy is -1173 meV per atom. Its crystal system is orthorhombic. The calculation puts the total magnetization at 0.00 Bohr magnetons per cell. Its space-group type is No. 70.

***

3.
VASP calculation (r²SCAN) on a relaxed structure of LiGaCl3.

The structure in POSCAR format:
```
LiGaCl3
1.0
15.086 0.000 0.000
0.000 9.675 0.000
0.000 0.000 6.130
Li Ga Cl
8 8 24
Direct
0.131 0.009 0.116
0.131 0.491 0.116
0.369 0.509 0.616
0.369 0.991 0.616
0.631 0.009 0.384
0.631 0.491 0.384
0.869 0.509 0.884
0.869 0.991 0.884
0.006 0.250 0.548
0.142 0.750 0.587
0.358 0.250 0.087
0.494 0.750 0.048
0.506 0.250 0.952
0.642 0.750 0.913
0.858 0.250 0.413
0.994 0.750 0.452
0.032 0.066 0.765
0.032 0.434 0.765
0.112 0.250 0.290
0.156 0.750 0.951
0.221 0.571 0.453
0.221 0.929 0.453
0.279 0.071 0.953
0.279 0.429 0.953
0.344 0.250 0.451
0.388 0.750 0.790
0.468 0.566 0.265
0.468 0.934 0.265
0.532 0.066 0.735
0.532 0.434 0.735
0.612 0.250 0.210
0.656 0.750 0.549

These are not exceptional cases. In 2015, financial commentator Morgan Housel analysed forecasts made by the 22 chief market strategists at Wall Street’s biggest investment firms over the 2000-2014 period. The average strategist didn’t forecast a single down year during that period, which was characterised by the two biggest crashes since the 1930s (the 2000-2002 dotcom crash and the global financial crisis of 2007-2009).


On average, strategists’ annual forecasts were off by 14.7 percentage points per year. Nor are the figures distorted by the 2008 crash. Even if one excludes 2008, strategists’ average forecast missed the mark by 12 percentage points annually.


In a refreshing break from the norm, UBS global chief economist Paul O’Donovan last month argued his colleagues in the investment business should focus on providing clients with meaningful analysis rather than issuing precise forecasts that are bound to miss the mark.

“Economists should not forecast,” O’Donovan wrote in a client note. “Economic models are not precise. Models use lots of assumptions. Those assumptions may not turn out to be true. Models give a range of possibilities rather than a single, certain number.” Accordingly, “investors just need to know that the world is doing OK. Inflation may rise a little. Central banks will likely slowly tighten policy.” There is, he added, “no need to get dramatic about decimal points.”

According to a 2009 study, investment bankers are "significantly hindsight biased", and this bias is just as likely to be found in experienced, knowledgeable bankers

If precise economic forecasting is hard, stock-market forecasting is even harder. After all, even if you had a crystal ball and knew exactly how the global economy would perform in 2018, you still could not be sure how this would impact on stock markets. A cheap stock market might rise in the face of a poor economic outlook, just as an expensive market might fall in the face of strong economic conditions.

Similarly, there are too variables to consider. How will the economy perform? How will this affect interest rates? What sectors outperform in such environments? What are the best stocks in these sectors?

Even if a strategist gets it right on each forecast 75 per cent of the time – way, way above that seen in reality – the odds of getting all four forecasts right is just 29 per cent. If he or she is right 65 per cent of the time, there is a mere 18 per cent chance all four forecasts will be right.

"Now think about the number of forecasts an average analyst's model contains – sales, costs, margins, taxes, and so on", writes GMO strategist James Montier in his Little Book of Behavioural Investing. "No wonder these guys are never right."

Economists know the limitations of their models, says O’Donovan. However, the “world of hashtag economics” doesn’t foster nuanced, evidence-based analysis. O’Donovan notes that it’s “difficult to warn about possibility ranges and underlying assumptions in 280 characters”.

Rather, there is a demand for simple, precise forecasts and most forecasters remain all too willing to cater to this demand, as evidenced by the reception areas at CNBC and Bloomberg TV being “crowded with mobs of economists fighting to get their forecasts on air”.


Still, marketing is not the only reason that forecasters engage in the futile forecasting game. Psychologists and behavioural economists have long known that humans are an overconfident lot and that this overconfidence causes them to have too much faith in their ability to divine the future.

In reality, expert predictions tend to be no better than chance, as confirmed by a famous study conducted by predictions expert Prof Philip Tetlock that analysed some 28,000 predictions made by political experts over a two-decade period. There are, Tetlock writes in his book Expert Political Judgement, many reasons why experts get things wrong.

Firstly, experts “can talk themselves into believing they can do things that they manifestly cannot”. There are diminishing returns to knowledge. Beyond a certain point, further information leads to increased confidence but not increased accuracy.

Secondly, like most people, experts are reluctant to change their minds as they don’t like to admit when they’re wrong. They fall prey to confirmation bias, subconsciously seeking out evidence that backs up their assessment and ignoring that which contradicts their viewpoint.

Crucially, there is also the problem of hindsight bias, the “I knew it all along” attitude. Separate psychological research indicates there are three levels to hindsight bias, namely misremembering an earlier opinion or judgment (“I said it would happen”), inevitability (“It had to happen”) and foreseeability (“I knew it would happen”).

Don't think that hard-nosed financial types are immune to this bias. According to a 2009 study published in Management Science, investment bankers are "significantly hindsight biased", and this bias is just as likely to be found in experienced, knowledgeable bankers. Hindsight bias, suggests Tetlock, means experts can be slow to learn from their mistakes.

Furthermore, experts typically resort to a number of excuses when they get things wrong, says Tetlock. There is the "if only" clause (if X or Y had happened, I would have been right); the ceteris paribus" clause (it's not my fault because something utterly unexpected happened); the "it almost occurred" clause (it didn't happen but I was close); and the "just wait" clause (I'm not wrong, just early).

Information v knowledge

Accurate forecasting is not impossible, says Tetlock, who in recent years has been documenting the success enjoyed by a small group of “super-forecasters” who take an ultra-scientific, data-driven approach. Unfortunately, this approach could not be further from the simplistic game of price targets played by investment strategists.

Investors, warns James Montier, tend to “equate information with knowledge”, but “the two are very often different beasts”.

As a general rule, strategist reports are detailed affairs compiled by diligent, educated professionals. But how much of the information contained in the reports is relevant?

Fund giant Vanguard once analysed the predictive power of various popular investment signals, such as price-earnings ratios, GDP growth, profit margins and so on. Rainfall – “a metric few would link to Wall Street performance” – turned out to be a better predictor of stock returns than many popular metrics, said Vanguard.

Of course, 2018 might be different. Who knows, the forecasters may get lucky. However, the research is clear. The annual forecasting contest is simply a guessing game masquerading as analysis.